Summer Seafood
Wow!!! Can’t beat this deal. Jumbo and lump crab cakes. Only 1 week away. Call today to place your order and time. Lots of people buy the frozen crab cakes so that they can have them for later. The fish is also an extremely hot item. DON’T MISS OUT ON THIS!!!!
Easter Sunday 2023
Family Easter Celebration
Date: Sunday, April 9th, 2023
Here the text breaks off for calculated crystals:
/*
The following is a simulated X-ray powder pattern of PrMgH4. It was derived from the GGA-PBE geometry in Alexandria, using copper Kα.
Kinematic intensities with the Lorentz-polarization factor, no thermal factor.

Cell and atoms:
```
data_PrMgH4
_space_group_name_H-M_alt 'C 1 2/m 1'
_space_group_IT_number 12
_cell_length_a 5.1020
_cell_length_b 5.1020
_cell_length_c 5.2977
_cell_angle_alpha 90.00
_cell_angle_beta 90.07
_cell_angle_gamma 90.00
loop_
_space_group_symop_operation_xyz
'x,y,z'
'-x,-y,-z'
'-x,y,-z'
'x,-y,z'
'x+1/2,y+1/2,z'
'-x+1/2,-y+1/2,-z'
'-x+1/2,y+1/2,-z'
'x+1/2,-y+1/2,z'
loop_
_atom_site_label
_atom_site_type_symbol
_atom_site_fract_x
_atom_site_fract_y
_atom_site_fract_z
Pr1 Pr 0.0000 0.0000 0.0000
Mg1 Mg 0.0000 0.5000 0.5000
H1 H 0.2504 0.2501 0.2796
```

Peak list (6 most intense, 10° ≤ 2θ ≤ 90°, in order of falling intensity)
- (1 1 1), 2θ = 29.97°, d = 2.982 Å, intensity 100
- (0 0 1), 2θ = 16.73°, d = 5.298 Å, intensity 47
- (1 1 0), 2θ = 24.68°, d = 3.608 Å, intensity 39
- (2 0 0), 2θ = 35.18°, d = 2.551 Å, intensity 30
- (3 1 1), 2θ = 59.93°, d = 1.543 Å, intensity 28
- (2 0 2), 2θ = 49.61°, d = 1.837 Å, intensity 26


The following is a simulated X-ray powder pattern of Ti4ReW. It was derived from the GGA-PBE geometry in Alexandria, using copper Kα.
Kinematic intensities with the Lorentz-polarization factor, no thermal factor.

Cell and atoms:
```
data_Ti4ReW
_space_group_name_H-M_alt 'P 1 21/c 1'
_space_group_IT_number 14
_cell_length_a 5.2425
_cell_length_b 7.8176
_cell_length_c 5.2412
_cell_angle_alpha 90.00
_cell_angle_beta 114.98
_cell_angle_gamma 90.00
loop_
_space_group_symop_operation_xyz
'x,y,z'
'-x,-y,-z'
'-x,y+1/2,-z+1/2'
'x,-y+1/2,z+1/2'
loop_
_atom_site_label
_atom_site_type_symbol
_atom_site_fract_x
_atom_site_fract_y
_atom_site_fract_z
Ti1 Ti 0.1095 0.1675 0.1164
Ti2 Ti 0.3860 0.6633 0.8931
Re1 Re 0.0000 0.0000 0.5000
W1 W 0.5000 0.0000 0.0000
```

Peak list (6 most intense, 10° ≤ 2θ ≤ 90°, in order of falling intensity)
- (1 3 -1), 2θ = 40.17°, d = 2.245 Å, intensity 100
- (1 1 -1), 2θ = 23.11°, d = 3.848 Å, intensity 96
- (1 1 1), 2θ = 33.82°, d = 2.650 Å, intensity 64
- (2 0 0), 2θ = 37.87°, d = 2.376 Å, intensity 61
- (2 2 0), 2θ = 44.64°, d = 2.030 Å, intensity 60
- (0 2 0), 2θ = 22.75°, d = 3.909 Å, intensity 51

----------

Structure and theoretical powder XRD pattern of K3Fe2Cl9 (a crystal structure in Alexandria, relaxed with PBE; Cu Kα (λ = 1.5418 Å)).
Intensities are scaled so that the largest is 100.

```
K3Fe2Cl9
1.0
7.0164 0.0000 0.0000
-3.5082 6.0764 0.0000
0.0000 0.0000 8.7218
K Fe Cl
3 2 9
direct
0.0000 0.0000 0.0000
0.3333 0.6667 0.3241
0.6667 0.3333 0.6759
0.3333 0.6667 0.8113
0.6667 0.3333 0.1887
0.0000 0.5000 0.0000
0.1717 0.3434 0.6797
0.1717 0.8283 0.6797
0.3434 0.1717 0.3203
0.5000 0.0000 0.0000
0.5000 0.5000 0.0000
0.6566 0.8283 0.6797
0.8283 0.1717 0.3203
0.8283 0.6566 0.3203
```

Top 10 peaks for 2θ = 15–90°, most intense first:
2θ = 36.03°, rel. 100
2θ = 31.17°, rel. 55
*/
Time: 9:30 am
Place: Graceland’s Fellowship Hall
We will celebrate Christ’s resurrection with Symbols of Easter, Music, and Special Treats!
The celebration will be followed by an Easter Egg Hunt for the children.
Don’t miss the celebration!
Traditional Easter Service at 11:15 am
Fall Festival
Sunday, October 30, 2022 after church we are having a Fall Harvest Festival. We will participate in activities related to fall and the harvest, and of course, there will be food to eat! There is a special pumpkin wreath for adults and older youth to make. We hope you are all well and we will see you Sunday!
Crab Cake Dinner

Bishop Directs Maryland Churches Not To Gather In Church Buildings For 2 Weeks
From Bishop Easterling – March 12, 2020
“Following this afternoon’s press conference by Maryland Governor Larry Hogan in which he declared a state of emergency, Bishop Easterling is directing all United Methodist churches in the state of Maryland to not gather in their church buildings for two weeks; for conference camps and archives to close, and for the Mission Center building to close. Conference Center staff will work remotely.”
The Bishop also said, “United Methodists throughout the conference should be checking on their neighbors and offering pastoral care to those in need whom they encounter.”
Revival – May 5, 2019

Revival Schedule
Time | Name | Event |
11 am – noon | Pastor Dan | Worship with Holy Communion |
noon – 12:30 | Chuck Conjar | Praise Music |
12:40 – 1 :00 | Maryland Military Band | Brass Quintet |
1:10 – 1:30 | Rev. Walter Jackson | Evangelism |
1:40 – 200 | Bob Paff | Inspiration |
2:10 – 2:30 | Colleen Shaneybrook | Evangelism |
2:40 -3:00 | Pastor Dan Kutrick | Evangelism |
3:10 – 3:30 | Matt Sichel | Evangelism |
3:40 – 4:00 | Rev. Katie Grover | Evangelism |
4:10 – 4:30 | Pastor Kermit Moore | Evangelism |
4:40 – 5:00 | Chuck Conjar | Praise Music |
5:00 | Pastor Dan Kutrick | Benediction & Dismissal |
Cooperative Parish Contemporary Praise Service at Graceland July 29
Sunday, July 29 is the date of the next 5th Sunday Contemporary Praise Service at Graceland. This one is a combined service for the Cooperative Parish, so we welcome our extended church family from Dundalk United Methodist Church. The service begins at 11:00 a.m.

Vacation Bible School 2018
Vacation Bible School 2018 – Rolling River Rampage
Dates: July 16th– 20th, 2018
Time: 6:30 – 8:30 pm
Ages: classes available for 2 year olds through 6thgrade (completed 6th)
Shortened session, closing celebration and meal on Friday, July 20th
Daily Colors: Blue (Monday), Green (Tuesday), Orange (Wednesday),
Purple (Thursday), Yellow (Friday)
To pre-register or for information, call Sharon at 410-868-9834